Government and construction industry to build big, lift productivity with Transformation Plan

11 February 2020

Delivering the workforce and productivity gains required to build the houses, schools, roads, rail and hospitals New Zealand needs will become easier with the Government-industry Construction Sector Transformation Plan launched today, Minister for Building and Construction Jenny Salesa says.

“The action plan launched today delivers on the Government’s Construction Sector Accord promise in April to develop a tangible plan that ensures industry has the right skills, the right people, and the right internal coordination to lift its productivity and take advantage of the quarter of a trillion dollars of public and private construction work expected over the next five years,” Jenny Salesa says.

The Construction Sector Transformation Plan will see Government and industry:

“This plan is a blueprint for sorting out the construction sector’s long-term challenges around risk, overly complex contracts, skills development and much more. It’s a very significant step in the right direction.”

“We’ll be working together with all the players to smooth out the boom and bust of the building cycle; address chronic skills shortages; reform New Zealand’s building consenting system; make procurement fairer; and improve mental health in the sector.”

“We’ve done things like publish a list of all the Government’s big jobs coming up over the next 10 years to signal clearly to industry that there is a bright future for them and their workers.”

“We know that the hands-off approach of the last government had been ineffective in meeting the needs of the building and construction sector for far too long. Labour productivity growth has been dire – averaging just 0.6 percent between 2011 and 2017, and that’s meant building in New Zealand has cost more than it should. By having a smarter, more coordinated construction industry we can grow construction activity and put downward pressure on the price of building things like houses.”

“This plan gears up the construction businesses to take advantage of the oncoming tide of construction activity expected in the next few years, especially given the Government is constructing so many state homes and rebuilding our schools and hospitals.”

“Based on the National Construction Pipeline Report 2019, national construction activity over the next five years is forecast to total $214.9 billion. This figure is set to rise following the Government’s announcement in December of an extra $12 billion in investment to tackle New Zealand’s infrastructure deficit over the next five years.”

“This plan will give building and construction businesses the confidence to train and hire more workers to meet the oncoming tide of construction work. No wonder our construction workforce and apprentice numbers have hit record highs.”

“The Construction Sector Accord got the industry and Government in the same room, and we developed this transformation plan together to tackle the industry’s longstanding challenges.”

“This plan with industry is just the latest proof that this Government is addressing the long-term challenges that have held New Zealand back. We’re tackling these challenges now so that we can build the homes, schools, hospitals, roads and rail New Zealand needs for the future.”

“This is the Government’s first Industry Transformation Plan being created to tackle New Zealand’s long-term challenges and lift the productivity of our vital sectors. We promised it: now we’re delivering it.” says Jenny Salesa.

More information:

The Construction Sector Transformation Plan:

The Construction Sector Accord

More on the Accord at:

**Unrelated to this article: materials data**
********
A plane-wave DFT calculation with PBE+U was carried out for a relaxed Li4VCr3O8 crystal. Values from VASP.

Quantum ESPRESSO input file:
```
&SYSTEM
  ibrav = 0, nat = 16, ntyp = 4
/
ATOMIC_SPECIES
Li 6.94 Li.upf
V 50.94 V.upf
Cr 52.00 Cr.upf
O 16.00 O.upf
ATOMIC_POSITIONS crystal
Li 0.243 0.499 0.126
Li 0.247 0.502 0.624
Li 0.753 0.498 0.376
Li 0.757 0.501 0.874
V 0.500 0.000 0.000
Cr 0.000 0.000 0.249
Cr 0.000 0.000 0.751
Cr 0.500 0.000 0.500
O 0.121 0.230 0.942
O 0.129 0.225 0.444
O 0.371 0.773 0.806
O 0.371 0.774 0.308
O 0.629 0.226 0.692
O 0.629 0.227 0.194
O 0.871 0.775 0.556
O 0.879 0.770 0.058
CELL_PARAMETERS angstrom
5.117 0.000 0.000
0.828 5.115 0.000
0.000 1.728 5.686
```

energy relative to the elements = -2424 meV/atom
energy = -110.9 eV/cell
E above lowest polymorph = 0.002 eV/atom

=====

First-principles (PBE) data for a relaxed SrH6C4O7 crystal, as listed in the Materials Project.

Cell and atoms, written as POSCAR:
```
SrH6C4O7
1.0
6.6288 -3.3716 0.0000
6.6288 3.3716 0.0000
-1.1582 0.0000 8.4905
Sr H C O
2 12 8 14
direct
0.0138 0.9862 0.7500
0.9862 0.0138 0.2500
0.1156 0.5126 0.1459
0.1454 0.5926 0.9926
0.4074 0.8546 0.5074
0.4470 0.4651 0.6810
0.4651 0.4470 0.1810
0.4874 0.8844 0.3541
0.5126 0.1156 0.6459
0.5349 0.5530 0.8190
0.5530 0.5349 0.3190
0.5926 0.1454 0.4926
0.8546 0.4074 0.0074
0.8844 0.4874 0.8541
0.0165 0.4492 0.3805
0.0285 0.6170 0.4821
0.3830 0.9715 0.0179
0.4492 0.0165 0.8805
0.5508 0.9835 0.1195
0.6170 0.0285 0.9821
0.9715 0.3830 0.5179
0.9835 0.5508 0.6195
0.0373 0.3803 0.2370
0.0614 0.7625 0.4673
0.1676 0.5966 0.1077
0.2375 0.9386 0.0327
0.3803 0.0373 0.7370
0.3994 0.6006 0.7500
0.4034 0.8324 0.3923
0.5966 0.1676 0.6077
0.6006 0.3994 0.2500
0.6197 0.9627 0.2630
0.7625 0.0614 0.9673
0.8324 0.4034 0.8923
0.9386 0.2375 0.5327
0.9627 0.6197 0.7630
```

Properties
DFT formation energy = -1.37 eV per atom
Total energy = -6.306 eV per atom
E (MP2020) = -0.4831 Ry per atom

First-principles (PBE) data for a relaxed Sr2GdBeO5 crystal, as listed in the Materials Project.

Cell and atoms, written as POSCAR:
```
Sr2GdBeO5
1.0
9.6508 0.0000 0.0000
0.0000 7.3428 0.0000
0.0000 0.0000 6.5842
Sr Gd Be O
8 4 4 20
direct
0.1736 0.0236 0.0880
0.1736 0.4764 0.0880
0.3264 0.5236 0.5880
0.3264 0.9764 0.5880
0.6736 0.0236 0.4120
0.6736 0.4764 0.4120
0.8264 0.5236 0.9120
0.8264 0.9764 0.9120
0.0247 0.2500 0.5866
0.4753 0.7500 0.0866
0.5247 0.2500 0.9134
0.9753 0.7500 0.4134
0.1018 0.7500 0.8126
0.3982 0.2500 0.3126
0.6018 0.7500 0.6874
0.8982 0.2500 0.1874
0.0114 0.7500 0.0306
0.0629 0.5626 0.6862
0.0629 0.9374 0.6862
0.2082 0.7500 0.3327
0.2289 0.2500 0.3770
0.2711 0.7500 0.8770
0.2918 0.2500 0.8327
0.4371 0.0626 0.1862
0.4371 0.4374 0.1862
0.4886 0.2500 0.5306
0.5114 0.7500 0.4694
0.5629 0.5626 0.8138
0.5629 0.9374 0.8138
0.7082 0.7500 0.1673
0.7289 0.2500 0.1230
0.7711 0.7500 0.6230
0.7918 0.2500 0.6673
0.9371 0.0626 0.3138
0.9371 0.4374 0.3138
0.9886 0.2500 0.9694
```

Properties
DFT formation energy = -3.15 eV per atom
********

Industry Transformation Plans





Source:  New Zealand Government -

Contact:  N/A

External Links: 

The Plan is available here:

More on the Accord at:

== Next to the piece, the page also holds crystal structures ==
Crystalline DyAl10Re2 at its relaxed geometry. Source: the Materials Project, functional r2SCAN.

Values from the calculation:
Volume (Å³/atom): 16.4
VASP energy (eV/atom): -16.1091
E_form (kJ per mole of atoms): -39.29

```
DyAl10Re2
1.0
4.601 -5.146 0.000
4.601 5.146 0.000
0.000 0.000 17.964
Al Re Dy
40 8 4
direct
0.348 0.092 0.630
0.965 0.035 0.826
0.965 0.035 0.674
0.350 0.350 0.500
0.751 0.249 0.592
0.249 0.751 0.092
0.092 0.348 0.130
0.092 0.348 0.370
0.350 0.350 0.000
0.000 0.500 0.000
0.268 0.292 0.750
0.389 0.911 0.250
0.035 0.965 0.174
0.611 0.089 0.750
0.292 0.268 0.250
0.911 0.389 0.750
0.650 0.650 0.500
0.908 0.652 0.870
0.500 0.000 0.000
0.035 0.965 0.326
0.348 0.092 0.870
0.652 0.908 0.130
0.505 0.495 0.857
0.717 0.283 0.426
0.500 0.000 0.500
0.283 0.717 0.574
0.000 0.500 0.500
0.283 0.717 0.926
0.495 0.505 0.357
0.751 0.249 0.908
0.505 0.495 0.643
0.652 0.908 0.370
0.717 0.283 0.074
0.908 0.652 0.630
0.708 0.732 0.750
0.650 0.650 0.000
0.495 0.505 0.143
0.732 0.708 0.250
0.249 0.751 0.408
0.089 0.611 0.250
0.130 0.374 0.879
0.626 0.870 0.879
0.870 0.626 0.379
0.374 0.130 0.121
0.626 0.870 0.621
0.870 0.626 0.121
0.130 0.374 0.621
0.374 0.130 0.379
0.000 0.000 0.500
0.000 0.000 0.000
0.257 0.743 0.750
0.743 0.257 0.250
```

Crystalline Hf6Si7Ni16 at its relaxed geometry. Source: the Materials Project, functional r2SCAN.

Values from the calculation:
Volume (Å³/atom): 12.5
VASP energy (eV/atom): -18.8699
E_form (kJ per mole of atoms): -77.17

```
Hf6Si7Ni16
1.0
7.412 1.272 2.720
1.641 6.609 4.193
1.527 -0.511 7.833

More on the Plans at:

Recent news by:  New Zealand Government